Nutrition Science
Food Processing
Myth vs Fact
Nutrition jokes and puns

This nutrient is the primary fuel used by the brain and nerve cells.


The brain accounts for 20-25% of total energy used in the body and the majority of glucose removed from the blood when at rest; therefore, maintaining adequate blood glucose levels is imperative for normal brain function.


True or False: Canned and frozen vegetables are less nutritious than fresh produce


The freezing and canning process does not reduce foods' nutritional value.


Myth vs fact: A dairy allergy is caused by the body's inability to digest lactose.


With a dairy allergy, an immune reaction to protein in milk leads to swelling, breathing problems, and anaphylaxis. 

Lactose intolerance is an inability to digest the sugars in milk products. It causes intestinal symptoms, such as bloating and diarrhea.


True or False: You should drink 8 glasses of water per day.


Fluid needs depend on physical activity, air temperature and humidity levels, individual health status, pregnancy and lactation, genetics.


What do you call cheese that's feeling sad?

Blue cheese!


This vitamin is necessary for calcium absorption.

Vitamin D!

Without vitamin D, the body absorbs no more than 10-15% of dietary calcium.


This cheese is considered "naturally lactose-free," containing less than 0.01g / 100g.


During the aging process, bacteria break down lactose in the milk to use as a food source. The longer a cheese is aged, the more lactose the bacteria present is able to get rid of. This means that aged, hard cheeses are often very low in lactose.


True or false: Choosing foods that are gluten-free will help you eat healthier. 


Gluten-free foods are not healthier unless you have celiac disease or are sensitive to gluten. If you don’t have these health problems but avoid gluten anyway, you may not get the vitamins, fiber, and minerals you need. A gluten-free diet is not a weight-loss diet and is not intended to help you lose weight either.


This organ is primarily responsible for maintaining fluid balance.

The kidneys!

The kidneys filter waste and excess water from the blood to maintain a balance of fluids and electrolytes in the body. Additionally, the brain and the endocrine system also play a role by releasing hormones that are involved in fluid regulation.


What are twins' favorite fruit?



Fatigue, paleness, tachycardia, shortness of breath, cold hands and feet, brittle nails, and poor appetite are all symptoms of deficiency in this mineral.


Because iron is not stored in significant amounts in the body, we need a daily supply of iron-rich foods.


This vitamin is the most likely to get lost during cooking. 

Vitamin C.

High-heat cooking temperatures or prolonged cook time can degrade this vitamin.


Myth vs fact: Using unrefined sugars, such as honey, maple syrup or coconut sugar in place of white table sugar is healthier.



These data records were left in the entry by mistake >
........
## NdScSi (PBE)

Data for an optimized crystal structure of NdScSi.

Cell lengths 4.288, 4.288, 15.877 Å; angles 90.00, 90.00, 90.00 degrees
Space group I4/mmm (No. 139)
Symmetry-distinct sites (fractional):
Nd1 0.000 0.000 0.177
Sc1 0.000 0.500 0.000
Si1 0.000 0.000 0.379

Values from the calculation:
Crystal system: tetragonal
Electronic total energy: -73.5 eV for the cell shown
Calculated density: 4.94 g/cm3

---

## MnB2H8 (PBE)

Data for an optimized crystal structure of MnB2H8.

Cell lengths 9.845, 10.054, 13.365 Å; angles 90.00, 90.00, 90.00 degrees
Space group Fddd (No. 70, origin choice 2)
Symmetry-distinct sites (fractional):
Mn1 0.125 0.125 0.345
B1 0.043 0.278 0.475
H1 0.001 0.357 0.283
H2 0.032 0.294 0.076
H3 0.046 0.012 0.688
H4 0.089 0.281 0.805

Values from the calculation:
Crystal system: orthorhombic
Electronic total energy: -791.6 eV for the cell shown
Calculated density: 1.70 g/cm3

---

## BaNa6O4 (PBE)

Data for an optimized crystal structure of BaNa6O4.

Cell lengths 8.151, 8.151, 5.707 Å; angles 90.00, 90.00, 90.00 degrees
Space group P4_2/nmc (No. 137, origin choice 2)
Symmetry-distinct sites (fractional):
Ba1 0.250 0.750 0.250
Na1 0.037 0.537 0.750
Na2 0.250 0.250 0.224
O1 0.019 0.250 0.982

Values from the calculation:
Crystal system: tetragonal
Electronic total energy: -90.6 eV for the cell shown
Calculated density: 2.97 g/cm3

---

## K2Hg2SCl4O3 (PBE)

Data for an optimized crystal structure of K2Hg2SCl4O3.

Cell lengths 9.799, 6.117, 10.429 Å; angles 90.00, 110.48, 90.00 degrees
Space group P2_1/m (No. 11)
Symmetry-distinct sites (fractional):
K1 0.100 0.250 0.177
K2 0.372 0.750 0.056
Hg1 0.093 0.250 0.632
Hg2 0.384 0.750 0.528
S1 0.193 0.250 0.882
Cl1 0.080 0.750 0.608
Cl2 0.223 0.750 0.293
Cl3 0.338 0.250 0.533
Cl4 0.481 0.250 0.234
O1 0.140 0.049 0.931
O2 0.352 0.250 0.919

Values from the calculation:
Crystal system: monoclinic
Electronic total energy: -88.2 eV for the cell shown
Calculated density: 3.98 g/cm3

---

## Ti2VSe4 (PBE)

Data for an optimized crystal structure of Ti2VSe4.

Cell lengths 13.570, 3.537, 6.420 Å; angles 90.00, 117.05, 90.00 degrees
Space group C2/m (No. 12)
Symmetry-distinct sites (fractional):
Ti1 0.246 0.000 0.206
V1 0.000 0.500 0.500
........
Back to the entry >

Sugar is sugar, although unrefined sugar options may contain a small number of vitamins and minerals. The advantage is minimal as they are still considered added sugar and contribute to the recommended daily limit on added sugar in the diet.


Knowing that most of the human body is made of water, guess what percentage of your weight is due to water.

About 60%!

Short-term weight fluctuations are generally due to fluid shifts.

Our bones are composed of 22% water, muscles are 76% and blood is 83% water. Lungs are 90%, and our brains are actually 95% water.


What did mozzarella say to cheddar cheese?

You look sharp!


Easily pluckable hair can be a sign of deficiency in this macronutrient.


Other symptoms include: slow wound healing, frequent infections, muscle loss, brittle nails and dry skin, fatigue and weakness, mood changes, poor growth, and insomnia.


This processed food is rich in probiotics and antioxidants.


Fermented pickles are full of good bacteria called probiotics, which are important for gut health.

Cucumbers are high in an antioxidant called beta-carotene, that’s been shown to help lower your chances of dying of heart disease, stroke, cancer, respiratory diseases, and other conditions.

Pickle juice, specifically the vinegar in it, may help keep your blood sugar levels even. That may benefit people who are at risk for diabetes.  


Myth vs fact: your skin will turn orange if you eat too many carrots.


The surprising fact is eating too many carrots, or other foods high in beta-carotene, can cause a yellowish discoloration of the skin. This discoloration, a condition called carotenemia, is most noticeable on the palms and soles.

Also, eating too many tomatoes can cause a yellow-orange discoloration of the skin called lycopenemia, due to the accumulation of lycopene in the tissues. The treatment for lycopenemia is also dietary modification.  


True or False: On average, your body loses the equivalent of 3-4 cups of water through respiration and through the skin by evaporation each day.


These are called "insensible fluid losses" as opposed to "sensible losses" which are visible and measurable such as those in urine and feces.


What do you call a fake noodle?

An impasta!


This nutrient is vital for optimal health, it is necessary to make cell membranes, hormones, vitamin D, and bile acids.


80% of your body cholesterol is recycled and only 20% come from the diet.


Cooking this vegetable increases its nutritional value.


In the raw vegetables beneficial phytochemicals are trapped in the cell wall until a heating method is applied. Cooking broccoli increases the release and bioavailability of antioxidants (i.e. lutein, carotene and tocopherols), with longer heating time extracting even more. 

Other vegetables that benefit from cooking are tomatoes, and carrots.


Myth vs fact: Foods with health claims are the sure-bet, go-to healthy choices.


Food label health claims may mislead by only focusing on one or two nutrition-related aspects of a food, rather than looking at its nutritional value from a more holistic perspective.

You’ve all seen food label health claims such as: All Natural, Sugar-free, Vitamin D-rich and many more. While some of these claims can be true, things are not so cut and dried much of the time.

For example, the phrase “All Natural” is not regulated in any way by the FDA.


True or false: headache, delirium, confusion, tiredness (fatigue), dizziness, weakness, light-headedness are all signs of dehydration.

<<<
[1]
Density functional theory data (GGA+U) for crystalline Sr2La6FeCu7O20 at its relaxed geometry.

```
Sr2La6FeCu7O20
1.0
3.980 0.000 0.000
0.000 10.736 -0.002
0.000 -0.001 10.767
O Sr Cu La Fe
20 2 7 6 1
Cartesian
0.000 1.802 0.904
0.000 6.352 7.154
1.990 5.379 5.447
0.000 7.115 4.410
1.990 2.483 7.800
0.000 1.320 4.039
0.000 4.041 9.416
1.990 10.700 5.304
1.990 0.000 0.115
0.000 9.818 1.784
1.990 5.376 10.688
1.990 8.378 2.989
0.000 1.035 9.091
0.000 4.240 3.755
1.990 2.882 2.406
0.000 8.979 9.847
0.000 6.778 1.251
0.000 3.626 6.377
0.000 9.314 6.636
1.990 7.720 8.392
1.990 5.632 2.790
1.990 10.490 8.047
0.000 8.338 2.980
0.000 2.420 7.804
0.000 10.693 5.345
0.000 5.377 5.393
0.000 2.937 2.409
0.000 5.391 10.730
0.000 7.779 8.376
1.990 2.860 5.053
1.990 7.979 5.644
1.990 8.026 0.258
1.990 2.621 10.467
1.990 0.225 2.700
1.990 5.120 7.989
0.000 10.731 10.739
```

Values from the calculation:
The value obtained for the volume is 460.09 Å³/cell. The energy of formation from the pure elements comes out at -2471 meV per atom. The calculation puts the total magnetization at 4.5 μB per cell.

=====

[2]
Density functional theory data (GGA+U) for crystalline LaZnFeCuO6 at its relaxed geometry.

```
LaZnFeCuO6
1.0
-1.797 2.868 -4.252
-4.877 -1.652 0.948
-5.802 4.665 5.598
O Zn La Fe Cu
12 2 2 2 2
Cartesian
-6.508 5.320 1.429
-2.864 1.802 0.389
-5.528 4.319 -1.348
-9.115 2.589 3.998
-4.613 0.543 -1.078
-5.133 1.967 -3.156
-5.046 2.912 0.650
-6.812 4.072 5.276
-7.961 5.267 3.417
-6.389 1.674 3.536
-7.182 1.803 -1.093
-7.555 2.941 1.624
-4.076 2.718 -1.341
-6.240 3.875 3.201
-9.359 4.561 1.574
-5.431 0.589 1.205
-1.367 2.159 -3.144
-3.386 3.084 1.743
-2.863 -0.077 -0.588
-6.657 3.682 0.097
```

Values from the calculation:
The value obtained for the volume is 224.59 Å³/cell. The energy of formation from the pure elements comes out at -1886 meV per atom. The calculation puts the total magnetization at 8.0 μB per cell.

=====

[3]
Density functional theory data (GGA+U) for crystalline Li4Mn2Fe3Cu3O16 at its relaxed geometry.

```
Li4Mn2Fe3Cu3O16
1.0
-0.289 5.798 0.780
-1.676 -2.368 -5.098
-8.776 -0.906 3.304
Cu O Fe Mn Li
3 16 3 2 4
Cartesian
-2.483 -0.010 -0.907
-6.630 0.933 1.746
-3.306 -1.164 -3.394
-1.350 4.311 0.120
-7.672 2.149 3.025
-7.072 -0.674 2.637
-6.818 1.342 -1.756
-4.807 0.204 -3.371
-1.208 1.462 -0.279
-2.184 3.135 -2.412
-4.072 1.245 -1.130
-2.661 -0.205 0.968
-6.047 2.492 0.831
-5.830 -0.390 0.359
-8.514 3.646 1.107
-6.643 -1.538 -2.112
-2.148 0.206 -2.762
-3.949 -1.303 -1.474
-8.417 1.095 0.757
-7.603 2.604 -0.362
-3.455 1.677 -3.016
-6.781 3.764 2.136
-9.392 2.172 2.080
-5.474 -0.066 -1.545
-8.729 -0.884 3.277
-4.233 2.701 0.138
-9.091 -0.515 -0.147
-4.328 -0.372 1.595
```

Values from the calculation:
The value obtained for the volume is 280.09 Å³/cell. The energy of formation from the pure elements comes out at -1545 meV per atom. The calculation puts the total magnetization at 21.7 μB per cell.

=====

[4]
>>>


Severe dehydration can lead to severe complications such as seizures, swelling of the brain, kidney failure, shock, coma and even death.


Which friends should you take out to lunch?

Your taste buds!
